[Assignment]
Next, count the lines further down that contain the word "DFT" and give the number alone.

[Data]
-- begin --
DFT (ωB97M-V with the def2-TZVPD basis set) results for a molecular structure, C5H8N in a non-equilibrium geometry.

Results
E_LUMO: -5.239 eV
HOMO-LUMO gap: 9.11 eV
Energy: -6795.7084 eV

The geometry in ORCA input format:
```
! wB97M-V def2-TZVPD RIJCOSX def2/J DEFGRID3
* xyz 1 1
H -0.351 2.018 1.463
H -0.763 2.439 -0.203
C 1.358 0.536 -0.399
H -1.723 1.223 0.667
C -1.281 -1.548 0.201
H 2.032 -1.525 -0.020
C 1.333 -0.941 -0.618
C -0.721 1.618 0.516
N 0.135 0.579 0.047
H 2.068 1.331 -0.536
H -2.147 -1.055 0.593
C -0.072 -0.808 -0.086
H -1.286 -2.611 0.034
H 1.417 -1.257 -1.658
*
```


{
  "formula": "C18H47MnNO4Si2",
  "method": "ωB97M-V/def2-TZVPD",
  "symbols": ["O", "O", "C", "C", "H", "H", "H", "H", "H", "C", "C", "H", "H", "H", "H", "H", "C", "C", "C", "H", "H", "H", "H", "H", "C", "H", "H", "H", "H", "H", "H", "Mn", "C", "Si", "H", "H", "C", "C", "C", "C", "Si", "H", "H", "C", "C", "C", "H", "H", "H", "H", "H", "H", "H", "H", "H", "H", "H", "H", "H", "H", "H", "H", "H", "H", "N", "C", "C", "O", "O", "H", "H", "H", "H"],
  "xyz": [[-0.724, -1.603, -0.715], [0.965, 1.404, -4.152], [0.012, -2.785, -1.297], [-0.739, -4.045, -1.017], [1.013, -2.733, -0.847], [0.201, -2.692, -2.371], [-0.815, -4.219, 0.042], [-0.163, -4.911, -1.309], [-1.719, -4.018, -1.495], [-1.590, -0.862, -1.614], [-1.545, -1.108, -3.122], [-1.481, 0.212, -1.381], [-2.633, -1.037, -1.264], [-0.558, -0.721, -3.456], [-2.425, -0.639, -3.616], [-1.549, -2.192, -3.287], [0.538, 2.347, -3.147], [2.335, 1.078, -4.015], [-0.879, 2.828, -3.459], [1.171, 3.255, -3.099], [0.561, 1.809, -2.194], [-1.005, 3.141, -4.505], [-1.136, 3.674, -2.807], [-1.585, 2.016, -3.255], [2.843, 0.548, -5.369], [2.333, 0.282, -3.247], [2.954, 1.962, -3.730], [2.265, -0.321, -5.707], [3.894, 0.214, -5.268], [2.794, 1.324, -6.150], [0.408, -0.788, 0.352], [-0.838, -0.009, 1.756], [1.465, -0.769, 0.564], [3.061, 0.123, 1.217], [1.553, -1.827, 0.886], [1.630, -0.506, -0.511], [4.402, -0.649, 0.085], [3.521, -0.257, 2.950], [3.148, 1.932, 0.906], [-2.053, -1.445, 1.890], [-3.496, -0.199, 1.818], [-1.904, -1.986, 2.849], [-1.908, -2.142, 1.042], [-4.760, -0.832, 0.578], [-2.844, 1.505, 1.349], [-4.334, -0.110, 3.505], [2.457, 2.263, 0.139], [4.140, 2.223, 0.564], [2.927, 2.540, 1.784], [4.390, -1.743, 0.168], [5.423, -0.327, 0.327], [4.231, -0.410, -0.975], [2.915, -1.039, 3.393], [3.456, 0.614, 3.596], [4.553, -0.603, 3.007], [-3.278, 1.727, 0.365], [-1.750, 1.724, 1.296], [-3.268, 2.212, 2.075], [-5.422, -0.062, 3.338], [-4.032, 0.804, 4.038], [-4.094, -0.987, 4.127], [-5.750, -0.470, 0.909], [-4.726, -1.936, 0.546], [-4.547, -0.433, -0.427], [-0.642, 0.135, 4.054], [0.356, 1.111, 4.555], [0.994, 1.936, 3.431], [1.890, 2.706, 3.724], [0.434, 1.686, 2.280], [-1.576, 0.399, 4.392], [-0.481, -0.758, 4.536], [-0.137, 1.803, 5.246], [1.154, 0.630, 5.130]],
  "s2": 8.7618,
  "total_energy_ev": -76182.531,
  "max_force_ev_per_a": 4.6,
  "e_lumo_ev": [0.41, 0.36],
  "spin_multiplicity": 6,
  "orbital_gap_ha": [0.2697, 0.3200],
  "e_above_lowest_kcal_mol": 50.3
}

---

{
  "formula": "C5H7FSi",
  "method": "ωB97M-V/def2-TZVPD",
  "symbols": ["C", "C", "C", "C", "C", "F", "Si", "H", "H", "H", "H", "H", "H", "H"],
  "xyz": [[-2.686, 1.926, 0.396], [-1.886, 1.037, 0.275], [1.537, 0.640, -1.899], [1.268, -0.343, -1.004], [0.155, -1.048, 1.665], [-0.987, -1.924, -0.979], [-0.303, -0.697, -0.139], [-3.452, 2.543, 0.826], [2.325, 0.577, -2.599], [1.096, 1.599, -1.767], [1.954, -1.153, -0.889], [-0.324, -1.810, 2.205], [1.203, -1.212, 1.652], [0.101, -0.134, 2.257]],
  "total_energy_ev": -15891.338,
  "max_force_ev_per_a": 4.7,
  "e_lumo_ev": 0.43,
  "spin_multiplicity": 1,
  "orbital_gap_ha": 0.3811,
  "e_above_lowest_kcal_mol": 38.8
}

---

{
  "formula": "C10H11N3S",
  "method": "ωB97M-V/def2-TZVPD",
  "symbols": ["C", "C", "C", "C", "C", "C", "N", "C", "C", "N", "C", "C", "N", "S", "H", "H", "H", "H", "H", "H", "H", "H", "H", "H", "H"],
-- stop --

[Here it is]
1